Enough of my paper towel rant, time to move on to the solution! So after trying out a number of rags, towels, etc. I've finally found something that works! No, I didn't get it at Target, Wal-Mart, or CVS...I got it on Etsy! Not sure how many of you know about or use Etsy, but it's pretty awesome! You can buy or sell a number of handmade items that can't be found in stores, plus you get to talk to the person selling the product, which is great! The super cool and green product I found on there are "Un Paper Towels" by the seller, "Made in the Red Barn". Here's some facts about their un paper towels according to their Etsy site:
-made from a single layer of birdseye cotton fabric (Birdseye's unique weave makes it soft and very absorbent. Its' woven qualities also make it fast drying, durable and long lasting.)
-similar in size (Dimensions: 11-1/2" x 11-1/2"), shape and weight to paper towels
-made to wash and reuse.
-unpaper towels are kind to the budget AND eco-friendly
The cost of 24 Un Paper Towels is $23, which is the ones I purchased first. You can get as much as 48, or as little as 12. They even have some fun new colors you can choose from. It's up to you! Plus, there are tons of uses for these un paper towels! I use them: as Kleenex, for cleaning and dusting (see the pic at the top of the post), as napkins with meals, and I've even stuck a few in my car in case of smoothie spills!
So now that you've got your un paper towels, you're all set right? Not quite! The challenge is now where to put them? For a few weeks I tried balancing mine on the paper towel holder that was mounted under our kitchen cabinets. Unfortunately every time I wanted an un paper towel, I pulled and ended up with 20 more. Time for "Made in the Red Barn" to come in and save the day again with their "Towel Houses"!
These things are genius! It comes with two pieces: the tall base and a removable top. In the base there is a hole for you to pull the un paper towels through when you need one...and it's great because you only get one! These Towel Houses are very simple: all you have to do is take off the lid, drop clean un paper towels in, and pull them out of the hole when you need them! Here's some more info about them from their Etsy site:
-they are made from upcycled wood that has been stained and created to make a base and a lid
-you can just pluck just one towel at a time to avoid contamination of the others
-easily restock the un paper towels by placing the washed, UNFOLDED towels through the top of the dispenser and replacing the lid
-holds 18 un paper towels at a time
-Dimensions: 11-1/2" tall (excluding knob), 5-1/2" square at base
Calculated molecules, as found in the file.
'''
No. 1
ORCA calculation (ωB97M-V/def2-TZVPD) on a single C12H12S molecule.

Computed properties:
- Lowest unoccupied orbital energy: 0.4354 eV
- ΔE to the lowest compared entry with this formula, charge and spin: 120.7 kJ/mol
- HOMO energy: -7.736 eV
- Total charge: 0
- SMILES string: Cc1ccc2c(c1)/C=C/CS/C=C\2
- HOMO-LUMO gap: 8.171 eV

Element x y z (Å)
C -0.84576 -0.95968 1.61571
C 0.16995 -1.82846 1.55883
C 1.18490 -0.77979 -0.23401
C -0.97984 0.09925 0.61856
C 0.07666 0.11827 -0.31606
C 1.31350 -1.71277 0.67833
C -2.19677 0.85344 0.63540
C 0.15321 1.11149 -1.35269
C -2.83543 1.72690 -0.12590
C -0.18590 2.36998 -1.09970
C -0.93666 3.34366 -1.98833
C 2.34330 -2.73175 0.63634
S -2.69156 2.92362 -1.51949
H -1.48775 -1.02181 2.39728
H 0.15568 -2.58037 2.37802
H 2.04019 -0.69900 -0.98557
H -2.71242 0.63124 1.48922
H 0.23051 0.76684 -2.31663
H -3.84741 1.96868 0.24641
H -0.23610 2.70396 -0.08569
H -0.68547 3.16203 -3.12216
H -0.94887 4.35124 -1.87782
H 3.33570 -2.26576 0.23641
H 2.49278 -3.28192 1.53767
H 2.03130 -3.49344 -0.09491

***

No. 2
ORCA calculation (ωB97M-V/def2-TZVPD) on a molecular structure, C12H13BrIrO2.

Computed properties:
- Lowest unoccupied orbital energy (spin up / spin down): 3.1121 / 1.2669 eV
- ΔE to the lowest compared entry with this formula, charge and spin: 0.0 kJ/mol
- Spin multiplicity: 5
- HOMO energy (spin up / spin down): -0.338 / -4.436 eV
- Total charge: -1
- HOMO-LUMO gap (spin up / spin down): 3.450 / 5.703 eV
- Expectation value of S²: 6.04

Element x y z (Å)
C -0.83397 -1.09709 -1.85351
C -1.32882 -2.22533 -1.10805
C -2.50296 -1.79824 -0.33247
H -0.91711 -3.21668 -1.07834
C -2.47042 -0.30728 -0.39908
C -1.53963 0.05004 -1.44625
H -1.47764 1.05592 -1.86775
H -0.07957 -1.16790 -2.64529
H -3.21027 -2.43126 0.20105
H -3.02671 0.36634 0.23633
Ir -0.80880 -1.11374 0.64538
Br 1.19430 -2.28837 1.22734
C 2.85069 1.14196 -0.50077
C 1.99371 1.91252 -1.35052
C 2.04991 1.31456 -2.66489
H 1.31464 2.69915 -1.03726
C 2.85414 0.12817 -2.55554
C 3.50195 0.13104 -1.28935
H 4.21013 -0.59631 -0.91937
H 2.86346 1.21469 0.59691
H 1.60075 1.70956 -3.55090
H 2.95774 -0.63912 -3.34359
C -1.76207 0.93489 4.16790
O -1.78445 0.30814 2.87508
C -0.67210 0.09332 2.14072
O 0.43544 0.57097 2.34151
H -1.01722 0.52300 4.84606
H -2.73884 0.72179 4.58568
H -1.65629 2.00525 4.07897

***

No. 3
ORCA calculation (ωB97M-V/def2-TZVPD) on a molecular structure, C12H13ClN11Pd.

Computed properties:
- Lowest unoccupied orbital energy: 2.3893 eV
- ΔE to the lowest compared entry with this formula, charge and spin: 0.0 kJ/mol
- HOMO energy: -4.902 eV
- Total charge: -1
- HOMO-LUMO gap: 7.292 eV

Element x y z (Å)
Pd 1.39229 0.68962 0.18666
N 2.75171 3.79718 -0.10467
C 3.59631 2.71172 -0.03606
N 4.90954 2.84551 -0.07542
N 5.37434 1.58195 0.01100
N 4.41033 0.74261 0.09847
N 3.23968 1.42940 0.07719
C 1.38004 3.75938 -0.04653
N 0.60491 4.83388 -0.08782
N -0.64255 4.33509 -0.02470
N -0.61771 3.05056 0.05212
N 0.67283 2.64000 0.03998
H 3.18835 4.69860 -0.17343
'''
So much for the calculated molecules.
-comes in 25+ colors and styles, there are even a few smaller-sized towel houses (I chose the lime green because our kitchen colors are black, brown, and lime green... and we hardly had anything lime green!)
-cost: $33-39 per towel house
One of my favorite features of the towel house is how easy it makes the transition away from paper towels, because it gives you a system that works! Here's my towel house routine: place clean un paper towels into the Towel House, as I use them, I place them in a bucket right under my sink. When the bucket is full, I wash them with my laundry. After doing laundry, I drop the un paper towels right back in the towel house and use them again! So easy! So long paper towels, you're not coming back into this house!
I hope this gives you all some ideas as to how you can begin saying goodbye to paper towels and hello to un paper towels and towel houses! You won't be disappointed! ( :
I hope this gives you all some ideas as to how you can begin saying goodbye to paper towels and hello to un paper towels and towel houses! You won't be disappointed! ( :